Directing: B
Acting: B+
Writing: B
Cinematography: B+
Editing: B
Special Effects: B
Solo is fine. And, yes, it’s fun – but I’m going to start off with a chief complaint: even this exact same movie would be a more thrilling experience without oversaturation of the market with Star Wars movies. This has been my beef with the relentless movie release schedule since the very announcement that we’d be getting one of these movies every year for the foreseeable future: audience, if not quite tiring of the movies, are progressively going to lose their enthusiasm for them.
**Data records that have nothing to do with the article:**
A plane-wave DFT calculation with GGA-PBE was carried out for a relaxed LiAg2TeSe4 crystal.

Total energy: -52.9 eV/cell
Formation energy from raw total energies: -0.220 eV per atom

Unit cell a=8.0141 b=8.0141 c=7.8564 alpha=119.35 beta=119.35 gamma=91.50
Element x y z (fractional)
Se (0.2661, 0.7687, 0.0174)
Se (0.7718, 0.7282, 0.4932)
Te (0.0000, 0.0000, 0.0000)
Li (0.0000, 0.5000, 0.5000)
Ag (0.5000, 0.5000, 0.0000)
Ag (0.5000, 0.0000, 0.0000)
Ag (0.0000, 0.0000, 0.5000)
Se (0.7718, 0.7282, 0.0068)
Se (0.7339, 0.2313, 0.9826)
Ag (0.5000, 0.0000, 0.5000)
Se (0.2282, 0.2718, 0.5068)
Li (0.0000, 0.5000, 0.0000)
Te (0.5000, 0.5000, 0.5000)
Se (0.2282, 0.2718, 0.9932)
Se (0.2687, 0.7661, 0.5174)
Se (0.7313, 0.2339, 0.4826)


A plane-wave DFT calculation with GGA-PBE was carried out for a relaxed NbAlTeI2 crystal.

Energy relative to the lowest polymorph listed for this composition: 10.97 kcal/mol of atoms
Total energy: -16.6 eV/cell
Formation energy from raw total energies: 0.685 eV per atom

Unit cell a=5.3954 b=5.3954 c=5.4892 alpha=90.00 beta=90.00 gamma=90.00
Site moments in Bohr magnetons follow the coordinates.
Element x y z (fractional)
Al (0.0000, 0.0000, 0.0000)  0.00
I (0.5000, 0.0000, 0.0000)  -0.04
Nb (0.5000, 0.5000, 0.5000)  2.80
Te (0.0000, 0.0000, 0.5000)  -0.14
I (0.0000, 0.5000, 0.0000)  -0.04


A plane-wave DFT calculation with GGA-PBE was carried out for a relaxed LiMg8Hg2 crystal.

Energy of formation: -103 kJ/mol of formula units
Total energy: -16.3 eV/cell

Unit cell a=4.6990 b=7.3739 c=7.9864 alpha=113.05 beta=107.11 gamma=90.00
Element x y z (fractional)
Mg (0.0337, 0.7442, 0.0674)
Mg (0.1594, 0.2207, 0.3188)
Mg (0.3975, 0.5478, 0.7950)
Hg (0.7915, 0.3329, 0.5830)
Mg (0.3276, 0.0864, 0.6553)
Mg (0.6724, 0.9136, 0.3447)
Hg (0.2085, 0.6671, 0.4170)
Mg (0.9663, 0.2558, 0.9326)
Mg (0.6025, 0.4522, 0.2050)
Mg (0.8406, 0.7793, 0.6812)
Li (0.5000, 0.0000, 0.0000)


A plane-wave DFT calculation with GGA-PBE was carried out for a relaxed BiSb2Te2 crystal.

Energy relative to the lowest polymorph listed for this composition: 2.05 kcal/mol of atoms
Total energy: -17.4 eV/cell
Formation energy from raw total energies: 0.196 eV per atom

Unit cell a=5.9669 b=5.9669 c=6.2952 alpha=61.71 beta=61.71 gamma=90.00
Element x y z (fractional)
Bi (0.0000, 0.0000, 0.0000)
Sb (0.3358, 0.3358, 0.3284)
Sb (0.6642, 0.6642, 0.6716)
Te (0.7500, 0.2500, 0.5000)
Te (0.2500, 0.7500, 0.5000)


- Which of these has the lowest total energy?
  LiAg2TeSe4

~~~~~

Record 1
A relaxed structure of LiCuPb. Source: Alexandria via LeMat-Bulk, functional PBEsol.

Unit cell a=4.920 b=4.952 c=8.462 alpha=90.00 beta=90.00 gamma=90.00
Fractional coordinates of all 12 atoms:
Li1 0.000 0.000 0.000
Li2 0.000 0.500 0.500
Li3 0.500 0.000 0.500
Li4 0.500 0.500 0.000
Cu1 0.000 0.000 0.349
Cu2 0.000 0.500 0.849
Cu3 0.500 0.000 0.849
Cu4 0.500 0.500 0.349
Pb1 0.000 0.000 0.680
Pb2 0.000 0.500 0.180
Pb3 0.500 0.000 0.180
Pb4 0.500 0.500 0.680

Summary:
**Here the article continues:**
That’s certainly what’s happening already: as usual, I went to see the film on opening night. Remember, way back in 2015, opening night of The Force Awakens, theatre lobbies were packed with fans in line for sold-out screenings hours before showtime? Last night at my theatre’s first showing of the film, the lobby was empty. Granted, trailers had already begun so everyone was inside – but three years ago, under the same circumstances, the lobby would have been full of fans still waiting for subsequent screenings. Hell, even the friend I went with, who scoffed at my complaints about over-saturation in the beginning because he’s such a lifelong die-hard Star Wars fan, commented on how even his excitement level isn’t the same with this movie. I felt so vindicated!
The point is, even when the movies are good – as this one is – a movie every year is just too much. It robs audiences of the thrill of anticipation, which has always been half the fun of Star Wars. As of 2015, we were getting one prequel series basically once every other decade. I’m not saying it should be required to spend fifteen years whetting the appetite, but even the first two trilogies released each of their films once every three years – that alone intensified expectations. Now, we we’ve had four Star Wars movies in not quite three and a half years. The primary “Episodes VII-IX” trilogy episodes are coming every two years instead of the previously-standard three, and each off year is getting filled with these “A Star Wars Story” stand-alone films. It’s hard not to look at this cynically: is there any necessity to it other than a cash-grab? Ironically, this oversaturation clearly affects each individual film’s box office take. They remain successful, of course – Solo is still expected to top Memorial Day Weekend – so presumably a profit strategy clearly taken out of the Marvel playbook is a better play for studios. Is it better for audiences?
Solo is neither the Star Wars movie fans were clamoring for, nor the Star Wars movie they need. But! Once you open up to it, there really is no resisting it. Complain all you want about The Lego Movie directors Phil Lord and Christopher Miller being replaced by Ron Howard due to “creative differences,” even after such production conflicts, to be honest, Howard’s populist approach works for it. Solo is much more light and breezy compared to either the current trilogy installments (whose increasingly morally ambiguous tones and themes take the series in a direction that’s exciting in its own right) or 2016’s Rogue One. It’s also true that both Rogue One and Solo effectively qualify as just more prequels, with both of them offering Easter eggs and puzzle pieces to connect themselves to the original trilogy. Solo doesn’t end with a direct lead-in to the original Star Wars like Rogue One did (and, mercifully, doesn’t feature any original cast members digitally de-aged), but it has plenty about it that directly connects itself to 1977’s A New Hope in particular. A lot of lines are spoken that are familiar from other films, and if you’re not paying attention you might miss Han saying “I’ve got a good feeling about this!”
If nothing else, Solo should please the fanboys who were stupidly irate about The Last Jedi, even though anyone with half a brain can see that installment eventually earning a respect in a similar vein to The Empire Strikes Back. In any case, Solo doesn’t much bother itself with taking risks, or taking the Star Wars universe into uncomfortably unfamiliar territory. It’s also much less dark than Star Wars movies have been in some time. To me, that makes it broadly less compelling – but it also makes it, at least superficially and on its own terms, more entertaining. It’s got less thinking, more action. And it has some great action sequences, including when Han first meets Chewbacca (with Peter Mayhew finally retiring from the role after six Star Wars movies, previous body double Joonas Suatomo now steps into the role full time). It should be noted, though, that it doesn't get particularly cutting edge with its special effects, which used to be the hallmark of this franchise.
It was slightly difficult to see Alden Ehrenreich as a guy who eventually became the older Han Solo we were first introduced to, based only on the trailers. But Solo (which offers an amusingly random origin to that last name) as a full movie makes it pretty easy. Everything this movie shows us offers an insight into what Han Solo would eventually become. And, as always, it features great actors in a supporting cast: top-billed Woody Harrelson as Beckett, the smuggler with whom Han joins forces; Thandie Newton as Val, Beckett’s partner; Game of Thrones’s Emilia Clarke as Han’s childhood flame, Qi’ra; Paul Bettany as Dryden Vos, Qui’ra’s villainous boss; Jon Favreau voices the four-armed monkey creature Rio Durant; and of course, arguably the MVP of the cast, Donald Glover is Lando Calrissian, impressively weaved into the narrative of Han’s back story. Phoebe Waller-Bridge must also be mentioned as the voice of Lando’s beloved social justice warrior droid L3, providing a good majority of the best comedic lines of the film’s first half.
It could be argued that most of what we see in Solo is just a rehash of the same sorts of things we’ve seen in other Star Wars movies, but whatever. It’s still fun to see new characters in different roles, even if they’re doing basically the same things. At least we’re not seeing another Death Star getting blown up yet again. This is becoming a very familiar universe, even when we visit new locations within it. There remains an element of comfort in being there, though, so even if the thrill of anticipation is seeing clearly diminishing returns, we keep coming back, so far not quite disappointed in it.
It'll be fine, Solo. It's fine.
Overall: B